## Excerpt
ORCA calculation (wB97M-V/def2-TZVPD) on a 14-piece molecular cluster, C24H76O26 overall at a distorted geometry.

Element x y z (Å)
H  -3.1627  -18.7720  5.0443
C  -0.6497  -27.6093  5.7220
H  4.5565  -22.4638  6.1941
O  1.3611  -21.6789  6.3822
O  1.7438  -21.8487  12.8796
H  -4.3830  -19.9881  3.5316
H  3.5614  -20.9943  8.8361
C  -3.7777  -21.3498  9.9012
H  4.5488  -19.5694  5.8152
H  0.5221  -21.4812  5.9596
H  0.8173  -25.3669  6.9390
O  -3.4295  -20.0935  3.4960
C  2.5099  -19.7425  3.6018
H  1.1191  -18.4397  7.0222
H  -1.0247  -28.5703  5.3700
C  4.4468  -17.2820  11.4342
H  7.0106  -19.6059  6.5555
H  6.1943  -16.5583  8.0411
H  -2.7125  -23.7150  6.8294
O  7.7281  -22.5980  10.6653
O  3.5655  -19.5598  11.4949
H  4.3070  -16.3078  10.9656
H  1.9833  -21.0129  13.2867
H  1.3933  -19.6424  8.7972
C  0.6861  -16.6563  8.2926
H  -0.4671  -18.2338  7.4838
C  2.1397  -22.3014  8.4562
H  -1.3601  -27.1629  6.4178
H  -1.0491  -26.5127  3.9216
H  -2.0417  -22.5616  6.1141
C  0.1229  -23.0682  11.8001
H  4.5267  -17.1556  12.5139
O  0.4939  -28.0345  6.5539
H  -4.0922  -22.5402  7.9489
O  0.7774  -18.9343  8.9994
C  0.5389  -18.1174  7.8869
H  -1.0369  -19.8293  5.9599
H  -3.6284  -22.3532  10.2997
H  6.1521  -20.5776  8.9374
H  3.2926  -27.7558  9.2227
O  5.6403  -17.7800  10.9259
H  4.4724  -22.5847  9.8795
C  0.7749  -21.6108  11.9690
H  -0.0840  -16.0056  7.8784
O  -5.0184  -22.3788  8.1431
H  1.5325  -18.5362  2.5595
H  -5.9021  -21.6230  9.8468
H  3.8111  -27.0790  10.7885
C  5.0542  -19.3330  6.7516
H  -1.7398  -21.8086  4.0520
O  -0.7344  -23.4256  12.8976
H  0.0963  -21.7344  8.0112
H  0.0722  -20.8419  12.2903
H  5.3102  -22.1893  3.7184
H  0.6679  -27.0314  4.2101
H  3.1986  -25.7557  8.1371
H  6.1274  -23.6748  11.3593
O  1.9494  -16.1282  7.9473
H  -3.7713  -20.5784  10.6713
H  -0.9062  -19.5653  4.3259
H  1.9719  -22.9139  9.3420
H  5.5661  -25.8623  9.7093
C  6.3527  -22.6740  10.9910
C  5.5067  -23.1063  4.2739
C  4.9348  -26.3447  8.9630
H  6.0461  -22.0026  11.7931
H  2.4057  -20.1194  4.6193
C  -2.9476  -19.8158  4.8157
H  3.3959  -18.3700  9.8816
C  -1.4668  -20.1867  5.0242
H  4.6340  -24.3203  3.0256
C  -5.0859  -21.4245  9.1521
H  3.0183  -22.6767  7.9315
H  1.0927  -21.1094  11.0549
O  1.5560  -18.7401  3.4974
O  -1.2339  -21.5751  4.8336
H  -3.6165  -20.3212  5.5123
H  1.3796  -21.5742  3.1949
C  4.5236  -23.2632  5.4539
H  0.8870  -27.2342  6.9095
H  0.6230  -25.5626  8.4276
H  5.5568  -28.1458  10.6748
H  6.5056  -22.9231  4.6698
C  -0.2535  -26.6536  4.6532
O  5.5069  -20.9357  9.5515
O  -2.6851  -20.9604  9.0460
H  6.1525  -17.4567  6.1808
O  3.1243  -23.1843  5.1023
H  -0.5517  -22.9038  10.9600
C  4.1391  -27.3696  9.7905
H  4.1749  -20.0282  10.9198
H  0.6568  -25.0296  4.5325
O  5.8170  -17.4357  8.1379
H  0.4615  -23.2210  7.2092
H  4.2970  -19.5520  7.5044
O  5.0086  -28.4878  9.9648
C  2.2291  -21.0207  2.7946
H  -5.3186  -20.4311  8.7685
O  1.2545  -25.7019  7.7219
O  2.1374  -21.0424  1.3603
H  5.9028  -22.7621  8.8333
H  2.7172  -22.5949  5.7414
O  0.0212  -25.3339  5.1844
O  4.0569  -25.3896  8.3627
C  0.9188  -22.3021  7.5760
O  2.6079  -21.0240  8.7294
H  1.5246  -20.3416  1.1255
H  4.5794  -24.2102  5.9907
H  2.3498  -17.8934  11.2032
H  0.8534  -23.8484  11.5861
H  4.4400  -17.3178  6.5650
C  5.3570  -17.8527  6.8121
O  5.4965  -24.2641  3.4434
H  7.9490  -21.6701  10.5573
H  -2.3896  -21.6867  8.4921
H  -0.1432  -23.4673  13.6527
O  -2.4985  -22.7869  6.9246
C  3.3432  -18.2743  10.9661
H  5.6695  -17.7262  9.9679
H  3.0697  -21.6796  3.0120
H  5.5615  -26.8877  8.2556
O  6.2506  -20.0771  6.9048
H  2.3128  -15.7073  8.7299

## Job
Now reproduce the material earlier on without altering anything.

## Completed
ORCA calculation (wB97M-V/def2-TZVPD) on a 14-piece molecular cluster, C24H76O26 overall at a distorted geometry.

Element x y z (Å)
H  -3.1627  -18.7720  5.0443
C  -0.6497  -27.6093  5.7220
H  4.5565  -22.4638  6.1941
O  1.3611  -21.6789  6.3822
O  1.7438  -21.8487  12.8796
H  -4.3830  -19.9881  3.5316
H  3.5614  -20.9943  8.8361
C  -3.7777  -21.3498  9.9012
H  4.5488  -19.5694  5.8152
H  0.5221  -21.4812  5.9596
H  0.8173  -25.3669  6.9390
O  -3.4295  -20.0935  3.4960
C  2.5099  -19.7425  3.6018
H  1.1191  -18.4397  7.0222
H  -1.0247  -28.5703  5.3700
C  4.4468  -17.2820  11.4342
H  7.0106  -19.6059  6.5555
H  6.1943  -16.5583  8.0411
H  -2.7125  -23.7150  6.8294
O  7.7281  -22.5980  10.6653
O  3.5655  -19.5598  11.4949
H  4.3070  -16.3078  10.9656
H  1.9833  -21.0129  13.2867
H  1.3933  -19.6424  8.7972
C  0.6861  -16.6563  8.2926
H  -0.4671  -18.2338  7.4838
C  2.1397  -22.3014  8.4562
H  -1.3601  -27.1629  6.4178
H  -1.0491  -26.5127  3.9216
H  -2.0417  -22.5616  6.1141
C  0.1229  -23.0682  11.8001
H  4.5267  -17.1556  12.5139
O  0.4939  -28.0345  6.5539
H  -4.0922  -22.5402  7.9489
O  0.7774  -18.9343  8.9994
C  0.5389  -18.1174  7.8869
H  -1.0369  -19.8293  5.9599
H  -3.6284  -22.3532  10.2997
H  6.1521  -20.5776  8.9374
H  3.2926  -27.7558  9.2227
O  5.6403  -17.7800  10.9259
H  4.4724  -22.5847  9.8795
C  0.7749  -21.6108  11.9690
H  -0.0840  -16.0056  7.8784
O  -5.0184  -22.3788  8.1431
H  1.5325  -18.5362  2.5595
H  -5.9021  -21.6230  9.8468
H  3.8111  -27.0790  10.7885
C  5.0542  -19.3330  6.7516
H  -1.7398  -21.8086  4.0520
O  -0.7344  -23.4256  12.8976
H  0.0963  -21.7344  8.0112
H  0.0722  -20.8419  12.2903
H  5.3102  -22.1893  3.7184
H  0.6679  -27.0314  4.2101
H  3.1986  -25.7557  8.1371
H  6.1274  -23.6748  11.3593
O  1.9494  -16.1282  7.9473
H  -3.7713  -20.5784  10.6713
H  -0.9062  -19.5653  4.3259
H  1.9719  -22.9139  9.3420
H  5.5661  -25.8623  9.7093
C  6.3527  -22.6740  10.9910
C  5.5067  -23.1063  4.2739
C  4.9348  -26.3447  8.9630
H  6.0461  -22.0026  11.7931
H  2.4057  -20.1194  4.6193
C  -2.9476  -19.8158  4.8157
H  3.3959  -18.3700  9.8816
C  -1.4668  -20.1867  5.0242
H  4.6340  -24.3203  3.0256
C  -5.0859  -21.4245  9.1521
H  3.0183  -22.6767  7.9315
H  1.0927  -21.1094  11.0549
O  1.5560  -18.7401  3.4974
O  -1.2339  -21.5751  4.8336
H  -3.6165  -20.3212  5.5123
H  1.3796  -21.5742  3.1949
C  4.5236  -23.2632  5.4539
H  0.8870  -27.2342  6.9095
H  0.6230  -25.5626  8.4276
H  5.5568  -28.1458  10.6748
H  6.5056  -22.9231  4.6698
C  -0.2535  -26.6536  4.6532
O  5.5069  -20.9357  9.5515
O  -2.6851  -20.9604  9.0460
H  6.1525  -17.4567  6.1808
O  3.1243  -23.1843  5.1023
H  -0.5517  -22.9038  10.9600
C  4.1391  -27.3696  9.7905
H  4.1749  -20.0282  10.9198
H  0.6568  -25.0296  4.5325
O  5.8170  -17.4357  8.1379
H  0.4615  -23.2210  7.2092
H  4.2970  -19.5520  7.5044
O  5.0086  -28.4878  9.9648
C  2.2291  -21.0207  2.7946
H  -5.3186  -20.4311  8.7685
O  1.2545  -25.7019  7.7219
O  2.1374  -21.0424  1.3603
H  5.9028  -22.7621  8.8333
H  2.7172  -22.5949  5.7414
O  0.0212  -25.3339  5.1844
O  4.0569  -25.3896  8.3627
C  0.9188  -22.3021  7.5760
O  2.6079  -21.0240  8.7294
H  1.5246  -20.3416  1.1255
H  4.5794  -24.2102  5.9907
H  2.3498  -17.8934  11.2032
H  0.8534  -23.8484  11.5861
H  4.4400  -17.3178  6.5650
C  5.3570  -17.8527  6.8121
O  5.4965  -24.2641  3.4434
H  7.9490  -21.6701  10.5573
H  -2.3896  -21.6867  8.4921
H  -0.1432  -23.4673  13.6527
O  -2.4985  -22.7869  6.9246
C  3.3432  -18.2743  10.9661
H  5.6695  -17.7262  9.9679
H  3.0697  -21.6796  3.0120
H  5.5615  -26.8877  8.2556
O  6.2506  -20.0771  6.9048
H  2.3128  -15.7073  8.7299